+++
# LaCo2Ni3
Calculated powder XRD pattern, Cu Ka. Input: a cell relaxed with PBE.
Lines closer than 0.1° are merged.

Principal peaks in the range 2θ from 10° to 90°, in order of rising 2θ:
(1 0 1), 30.53 deg, d 2.928, rel. 47; (1 1 0), 36.30 deg, d 2.475, rel. 29; (2 0 0), 42.16 deg, d 2.143, rel. 36; (1 1 1), 42.95 deg, d 2.106, rel. 100; (0 0 2), 45.25 deg, d 2.004, rel. 28; (3 0 1), 69.89 deg, d 1.346, rel. 22

Structural model:
a = 4.9501 Å, b = 4.9501 Å, c = 4.0078 Å
α = 90.00°, β = 90.00°, γ = 120.00°
Element x y z (fractional)
La1 0.0000 0.0000 0.0000
Co1 0.3333 0.6667 0.0000
Co2 0.6667 0.3333 0.0000
Ni1 0.0000 0.5000 0.5000
Ni2 0.5000 0.0000 0.5000
Ni3 0.5000 0.5000 0.5000


# 1
Diffraction record for Cu4P2O9. The powder diffractogram is computed, not measured: it uses a PBE-relaxed structure and Cu Kα.

Largest 6 diffraction maxima, in order of rising 2θ, 2θ = 10–90°:
2theta	I/Imax
19.18	41
24.46	78
29.71	100
30.24	64
32.78	58
32.94	48

Atomic structure:
abc: 6.296 7.634 8.092
angles: 99.17 111.87 98.19
Fractional positions:
1 Cu 0.095 0.373 0.239
2 Cu 0.153 0.882 0.588
3 Cu 0.347 0.829 0.063
4 Cu 0.383 0.604 0.756
5 Cu 0.617 0.396 0.244
6 Cu 0.653 0.171 0.937
7 Cu 0.847 0.118 0.412
8 Cu 0.905 0.627 0.761
9 P 0.130 0.236 0.849
10 P 0.500 0.285 0.580
11 P 0.500 0.715 0.420
12 P 0.870 0.764 0.151
13 O 0.014 0.084 0.668
14 O 0.022 0.774 0.037
15 O 0.156 0.427 0.810
16 O 0.203 0.776 0.799
17 O 0.248 0.294 0.466
18 O 0.350 0.720 0.535
19 O 0.369 0.200 0.974
20 O 0.383 0.534 0.261
21 O 0.496 0.876 0.326
22 O 0.504 0.124 0.674
23 O 0.617 0.466 0.739
24 O 0.631 0.800 0.026
25 O 0.650 0.280 0.465
26 O 0.752 0.706 0.534
27 O 0.797 0.224 0.201
28 O 0.844 0.573 0.190
29 O 0.978 0.226 0.963
30 O 0.986 0.916 0.332

# 2
Diffraction record for Cu2P2O7. The powder diffractogram is computed, not measured: it uses a PBE-relaxed structure and Cu Kα.

Largest 6 diffraction maxima, in order of rising 2θ, 2θ = 10–90°:
2theta	I/Imax
27.30	100
29.89	77
30.32	38
35.43	22
46.43	20
59.68	20

Atomic structure:
abc: 5.438 5.438 4.665
angles: 103.61 103.61 98.25
Fractional positions:
1 Cu 0.188 0.812 0.000
2 Cu 0.812 0.188 0.000
3 P 0.305 0.305 0.590
4 P 0.695 0.695 0.410
5 O 0.123 0.123 0.279
6 O 0.148 0.457 0.769
7 O 0.457 0.148 0.769
8 O 0.500 0.500 0.500
9 O 0.543 0.852 0.231
10 O 0.852 0.543 0.231
11 O 0.877 0.877 0.721


# 1
Computed powder XRD pattern
Compound: Ho2Fe17C
Radiation: Cu Kα (weighted mean of Kα1 and Kα2)
Structure: a cell relaxed with GGA-PBE
Peak positions follow from Bragg's law for the DFT cell and can differ from measured ones.

Crystal structure
Cell lengths 9.610, 8.604, 6.406 Å; angles 90.00, 99.16, 90.00 degrees
Space group C2/m (No. 12)
Unique sites:
Ho 0.161 0.000 0.347 (multiplicity 4)
Fe 0.000 0.215 0.000 (multiplicity 4)
Fe 0.000 0.500 0.500 (multiplicity 2)
Fe 0.096 0.254 0.657 (multiplicity 8)
Fe 0.097 0.500 0.903 (multiplicity 4)
Fe 0.146 0.354 0.292 (multiplicity 8)
Fe 0.157 0.000 0.849 (multiplicity 4)
Fe 0.250 0.250 0.000 (multiplicity 4)
C 0.000 0.000 0.000 (multiplicity 2)

Most intense lines, 5° ≤ 2θ ≤ 70°, low angle first:
2θ = 30.06°, rel. 44.9; 2θ = 36.27°, rel. 41.8; 2θ = 37.90°, rel. 43.3; 2θ = 42.00°, rel. 35.5; 2θ = 42.37°, rel. 66.1; 2θ = 42.58°, rel. 100.0; 2θ = 42.80°, rel. 26.7; 2θ = 43.93°, rel. 62.7

=====

# 2
Computed powder XRD pattern
Compound: Ho2Fe17C
Radiation: Cu Kα (weighted mean of Kα1 and Kα2)
Structure: a cell relaxed with GGA-PBE
Peak positions follow from Bragg's law for the DFT cell and can differ from measured ones.

Crystal structure
Cell lengths 8.250, 8.514, 14.804 Å; angles 90.00, 90.00, 90.00 degrees
Space group Amm2 (No. 38)
Unique sites:
Ho 0.000 0.000 0.000 (multiplicity 2)
Ho 0.000 0.000 0.328 (multiplicity 2)
Ho 0.500 0.000 0.664 (multiplicity 2)
Ho 0.500 0.000 0.996 (multiplicity 2)
Fe 0.000 0.140 0.807 (multiplicity 4)
Fe 0.000 0.146 0.522 (multiplicity 4)
Fe 0.000 0.207 0.161 (multiplicity 4)
Fe 0.145 0.000 0.664 (multiplicity 4)
+++

It remains to search the contents further up for the word "Unique" and set down each line that has it.

Unique sites:
Unique sites: